== Activity ==
Please filter the lines below: keep the lines with the word "Sb2Te2Pb".
== Given ==
/*
w) Below is a relaxed Sb2Te2Pb crystal, with properties calculated at the PBE level.

Geometry as POSCAR:
```
Sb2Te2Pb
1.0
6.000 0.000 0.000
0.000 6.000 0.000
3.000 3.000 4.714
Pb Sb Te
1 2 2
direct
0.000 0.000 0.000 Pb
0.336 0.336 0.328 Sb
0.664 0.664 0.672 Sb
0.750 0.250 0.500 Te
0.250 0.750 0.500 Te
```

x) Below is a relaxed Sb2Te2Pb crystal, with properties calculated at the PBE level.

Geometry as POSCAR:
```
Sb2Te2Pb
1.0
-2.500 -3.097 1.601
2.326 -0.014 3.604
-5.380 4.497 6.043
Pb Sb Te
1 2 2
direct
0.000 0.000 0.000 Pb
0.750 0.250 0.500 Sb
0.250 0.750 0.500 Sb
0.407 0.407 0.186 Te
0.593 0.593 0.814 Te
```

y) Below is a relaxed Sb2Te2Pb crystal, with properties calculated at the PBE level.

Geometry as POSCAR:
```
Sb2Te2Pb
1.0
-8.560 1.222 1.200
-1.511 -2.512 -8.223
-0.377 -3.868 1.251
Pb Sb Te
2 4 4
direct
0.000 0.000 0.000 Pb
0.500 0.500 0.000 Pb
0.352 0.852 0.000 Sb
0.852 0.648 0.000 Sb
0.648 0.148 0.000 Sb
0.148 0.352 0.000 Sb
0.179 0.679 0.500 Te
0.679 0.821 0.500 Te
0.821 0.321 0.500 Te
0.321 0.179 0.500 Te
```

y) is favored, and the nearest alternative lies 0.024 eV/atom above it.

w) Below is a relaxed SbTePb2 crystal, with properties calculated at the PBE level.

Geometry as POSCAR:
```
SbTePb2
1.0
-3.692 -3.253 -4.304
2.962 -2.139 -5.421
-0.079 -0.255 6.531
Pb Sb Te
2 1 1
direct
0.984 0.984 0.000 Pb
0.266 0.766 0.500 Pb
0.507 0.507 0.000 Sb
0.742 0.242 0.500 Te
```

x) Below is a relaxed SbTePb2 crystal, with properties calculated at the PBE level.

Geometry as POSCAR:
```
SbTePb2
1.0
5.556 0.000 0.000
2.778 4.811 0.000
2.778 1.604 4.536
Pb Sb Te
2 1 1
direct
0.000 0.000 0.000 Pb
0.250 0.250 0.250 Pb
0.500 0.500 0.500 Sb
0.750 0.750 0.750 Te
```

y) Below is a relaxed SbTePb2 crystal, with properties calculated at the PBE level.

Geometry as POSCAR:
```
SbTePb2
1.0
3.424 0.044 0.000
-1.070 3.252 0.000
0.000 0.000 10.986
Pb Sb Te
2 1 1
direct
0.000 0.000 0.986 Pb
0.500 0.500 0.265 Pb
0.000 0.000 0.491 Sb
0.500 0.500 0.758 Te
```

w) is favored, and the nearest alternative lies 0.116 eV/atom above it.

w) Below is a relaxed SbTePb2 crystal, with properties calculated at the PBE level.

Geometry as POSCAR:
```
SbTePb2
1.0
-1.151 -6.392 -0.714
5.165 -3.950 -0.640
-2.952 4.391 3.834
Pb Sb Te
2 1 1
direct
0.004 0.004 0.000 Pb
0.496 0.496 0.000 Pb
0.250 0.750 0.500 Sb
0.750 0.250 0.500 Te
```

x) Below is a relaxed SbTePb2 crystal, with properties calculated at the PBE level.

Geometry as POSCAR:
```
SbTePb2
1.0
5.515 -0.195 0.000
-0.998 5.428 0.000
0.000 0.000 4.161
Pb Sb Te
2 1 1
direct
0.000 0.000 0.000 Pb
0.500 0.500 0.000 Pb
0.500 0.000 0.500 Sb
0.000 0.500 0.500 Te
```

y) Below is a relaxed SbTePb2 crystal, with properties calculated at the PBE level.

Geometry as POSCAR:
```
SbTePb2
1.0
6.650 0.000 0.000
3.399 5.716 0.000
-5.025 -2.858 3.288
Pb Sb Te
2 1 1
direct
0.000 0.000 0.000 Pb
0.250 0.750 0.500 Pb
0.500 0.500 0.000 Sb
0.750 0.250 0.500 Te
```

z) Below is a relaxed SbTePb2 crystal, with properties calculated at the PBE level.

Geometry as POSCAR:
```
SbTePb2
1.0
-2.122 1.984 1.789
-0.455 -3.200 1.092
7.738 1.475 7.543
Pb Sb Te
2 1 1
direct
0.000 0.000 0.001 Pb
0.000 0.000 0.499 Pb
0.500 0.500 0.250 Sb
0.500 0.500 0.750 Te
```

x) is favored, and the nearest alternative lies 0.043 eV/atom above it.

w) Below is a relaxed SbTePb2 crystal, with properties calculated at the PBE level.

Geometry as POSCAR:
```
SbTePb2
1.0
3.890 0.000 0.000
0.000 5.610 0.000
0.000 0.000 5.532
Pb Sb Te
2 1 1
direct
0.000 0.000 0.000 Pb
0.500 0.500 0.000 Pb
0.500 0.000 0.500 Sb
0.000 0.500 0.500 Te
```

x) Below is a relaxed SbTePb2 crystal, with properties calculated at the PBE level.

Geometry as POSCAR:
```
SbTePb2
1.0
-5.055 5.503 -4.237
-7.784 2.283 -2.826
-6.564 5.541 -0.050
Pb Sb Te
2 1 1
direct
0.008 0.008 0.008 Pb
0.238 0.238 0.238 Pb
0.510 0.510 0.510 Sb
0.744 0.744 0.744 Te
```

x) is favored, and the nearest alternative lies 0.072 eV/atom above it.
*/
== Solution ==
w) Below is a relaxed Sb2Te2Pb crystal, with properties calculated at the PBE level.
Sb2Te2Pb
x) Below is a relaxed Sb2Te2Pb crystal, with properties calculated at the PBE level.
Sb2Te2Pb
y) Below is a relaxed Sb2Te2Pb crystal, with properties calculated at the PBE level.
Sb2Te2Pb